I am not making myself very popular with some readers, friends, family and colleagues for not having a total freak out about the US elections and Trump becoming president. I have zero emotional reaction to it, because it is so easy to see through all the lies. In the past months there has been so much struggle, so much division. This election wasn’t for the people. It was an ego battle and a distraction. This was set up to spread a division and to feed the fear. Also I don’t want to feed the Matrix emotional loosh. I also believe magic can come from chaos and that something beautiful is blossoming inside. It’s not like all has been rosy and fine for years. We need a change, a big change, and this may be it. We must step out of fear, anger, disgust and expecting the worst and focus on what we can change in ourselves to be the person that can inspire positive change in our immediate surroundings.

Come to grips

So many people are now trying to come to grips with the election results. Emotional storms are strong, the fears deep, and the tensions high. But please let not get ahead of ourselves and remain calm! Let’s not get divided. Together as a people we are strong. Love is strong, so much stronger than fear. We don’t need politics to decide how we feel and how we want to see the world. All this worry is a self-fulfilling prophecy of chaos. Please do not feed the fear. We have to change our own lives, we hat to look at what we are doing that’s contributing to what’s happening out there. Quit the blame and change your effect on the world. We have to heal collectively and unite in peace and love.

No more apathy

Perhaps Trump’s election is a good thing and helps people wake up and take back their power. Let this be an opportunity to practice unconditional love. Directing fear, worry and hate will not elevate this situation. Please hold a high vibration and focus on a positive outcome. No more apathy. We can’t blame anyone in power if we are not aligning our actions to co-creating a better world for ourselves, our families and our children.

No real choice

When I think about it rationally, there really wasn’t a choice. If you control what the choices are going to be and give the people two disastrous options. Is that democracy? And let’s face it if Clinton was chosen the US would certainly be going to war with Russia. And let’s look at why Trump was chosen. He reflects a change, a rejection of the political establishment, and this is very positive. Though Trump is not really an outsider of the system, but this is what he represents. So a vote to Trump is a vote against the establishment. Also a lot of people voted against Clinton, not per se for Trump. Clinton represents the establishment and has a career based on corruption. Hillary struck so much fear in people with her actions, people saw through her schemes and dark doings. The same thing happend with Brexit, a rejection of political establisment. The people are fed up and demand change, and that is good thing! So many people are no longer asleep. Now I am not saying I am a big Trump fan, I am not. But as I wrote before, with politics there is never much of a choice, it is all duality and distraction. And democracy is a lie.

Where do we go now?

Where it goes now, it depends on where Donald Trump goes from here. No one person is going to change the world for the better. We have to do that and we have to do that together. I think he will be just another puppet and will not make much of a difference as it is today. But it doesn’t matter as the change is not coming from the political system, it is the majority stopping to cooperate. When we do not cooperate with what the political few dictate us, then big changes will happen, positive changes…. I hope we can all hold that vision and work towards that together and not sit back and wait what politics will dictate us to do.

Deeper understanding

I feel for all the people that are worried about the race issues, women’s rights, environmental movement and many other important rights issues touched by this election. But this wouldn’t change overnight no matter who had been elected. Trump cannot have a big impact on this if we don’t let him. Racism and hatred needs to be addressed on a wider scale, not just with the elections. Let us together break through the illusion to pave the way to understanding. Hatred and fear are only feeding the dark forces. The ugly truth has revealed itself out of the shadows, let it pour out into the light. If you feel grief or sadness, feel it, but don’t stop there, let it be a doorway to deeper understanding and an opportunity for individual and collective growth. Turn on your observer, step back and ask how you can be a healing agent. We are being challenged to find our neutral, be wise enough to listen to the pain, feel the struggle, but keep our hearts open. We all have a role to play, our job is to bring our best vision of our life to the world. Ask yourself what you need to do to work together to create a vision for a world that we all want to live in.


I feel very distanced from the whole media circus. Why are so many people focussing on what they do not want in their lives? Be careful of what you create. What do you wish to experience? Focus on that. There has been enough hate in this election, it is very negative and dividing. Don’t feed the negative energy, the loosh for the matrix overlords. Turn away from social media and the media (always a good idea) and ground. De-programme from the lies you have been told all your lies (education, politics, religion, media, etc.) and connect to a higher truth and find and resonate peace inside of you. If you shift your focus beyond our 3D reality, you can let go of attachments which cause you to feel the programmed pain and fear response. It is not about who is president, it is about conscious awakening! There are many truths to be revealed, keep an open mind and stay calm.

Empowered action

I understand a lot of people are emotional and they have every right to feel that way. A major part of awakening is dealing with the shock of realizing that we have given away our power to those in positions of power over us who have misused that power. Government is not for and by the people, it is a construct for social control, taking away your sovereignty. One of the best indicators of illusion within oneself is shock at outcomes to situations. I believe that the situation we are in now will help people find the courage and clarity to snap out of collective brainwashing and challenge the belief systems which hold us captive. It may help us snap out of our fear-based paralysis and inspire us into empowered action. And to quote Paul Levy: “These shocks are like gaps in our awareness that are open doorways to potentially higher orders of freedom. These brief moments in time don’t last very long, however, so it is important to expeditiously go through these portals and take advantage of them when they are available. If we don’t, there are backup systems in place for dealing with shocks within our psyche that can override this potential opening in our awareness and re-install the ruling, reigning mechanical programming within our wetikoized mind.”


Stop following authority and be sovereign. Get into your body and stop trying to fix the world or look for external solutions, as all truth and freedom is within you. Start with self-empowerment and leave all belief systems behind. Step out of the dualistic us versus them. Stop identifying with a nation, we are children of mother Earth. To get through illusion, we have to get disillusioned, become free of illusion. I invite you to question everything your believe and have been told. Wake up.

### Inserted here: calculated molecules
┌──
Record 1
This record from the OMol25 dataset describes a 2-piece molecular cluster, C9H14O overall in a non-equilibrium geometry. The level of theory is ωB97M-V/def2-TZVPD.

Geometry as XYZ:
```
24
C9H14O ωB97M-V/def2-TZVPD
C -1.351 0.105 -2.185
C -1.068 -1.359 -2.497
H -0.732 0.659 -2.909
H -2.350 0.411 -2.463
H -0.905 0.497 -1.275
H -0.468 -1.588 -3.381
H -1.944 -1.957 -2.747
H -0.622 -1.855 -1.648
C -2.104 -0.730 1.751
C 0.153 -1.155 0.763
C -0.753 -0.254 1.300
C 1.362 -0.687 0.253
C 1.647 0.668 0.263
C -0.518 1.107 1.190
C 0.693 1.579 0.703
O 2.731 1.193 -0.376
H -0.141 -2.179 0.620
H 2.023 -1.327 -0.309
H -2.910 -0.125 1.308
H -2.272 -0.700 2.836
H -1.293 1.837 1.316
H 3.219 0.503 -0.862
H 0.872 2.647 0.653
H -2.365 -1.707 1.383
```

## Properties
- LUMO level: 0.031 Eh
- HOMO energy: -8.5 eV
- Structure (SMILES): Cc1ccc(O)cc1.CC
- ΔE to the lowest compared entry with this formula, charge and spin: 0.697 eV
- HOMO-LUMO gap: 0.3417 Eh

=====

Record 2
This record from the OMol25 dataset describes C35H33AuN7O6S2 as an isolated structure. The level of theory is ωB97M-V/def2-TZVPD.

Geometry as XYZ:
```
84
C35H33AuN7O6S2 ωB97M-V/def2-TZVPD
Au -0.353 -0.172 -0.975
C 4.910 -1.776 0.641
O 3.974 -0.914 1.281
C 4.041 -0.802 2.628
C 4.975 -1.443 3.430
C 4.965 -1.234 4.804
C 4.028 -0.403 5.393
C 3.075 0.216 4.597
C 3.076 0.024 3.227
N 2.117 0.695 2.407
C 1.329 0.044 1.519
N 1.094 -1.243 1.793
C 0.640 -2.246 0.929
C 0.043 -2.035 -0.299
C -0.407 -3.142 -1.024
C -0.257 -4.418 -0.520
C 0.351 -4.637 0.712
C 0.805 -3.552 1.430
O 1.420 -3.612 2.640
C 1.628 -4.898 3.213
N 0.768 0.676 0.509
C 1.214 2.019 0.258
C 2.461 2.200 -0.345
C 2.931 3.457 -0.657
C 2.129 4.563 -0.387
C 0.901 4.400 0.221
C 0.434 3.133 0.581
O -0.783 3.116 1.184
C -1.066 2.178 2.225
H 4.688 -1.724 -0.420
H 4.791 -2.806 0.986
H 5.935 -1.444 0.817
H 5.723 -2.089 2.992
H 5.708 -1.731 5.415
H 4.030 -0.243 6.463
H 2.317 0.857 5.032
H 2.235 1.685 2.259
H 1.518 -1.596 2.641
H -0.854 -3.009 -1.998
H -0.609 -5.261 -1.098
H 0.469 -5.642 1.090
H 2.140 -4.727 4.154
H 2.251 -5.517 2.565
H 0.677 -5.400 3.400
H 3.045 1.314 -0.569
H 3.900 3.577 -1.122
H 2.472 5.559 -0.638
H 0.272 5.248 0.459
H -1.941 2.569 2.736
H -0.235 2.127 2.934
H -1.290 1.187 1.839
N 0.728 2.349 -3.044
C -0.477 2.595 -2.484
N -1.100 1.741 -1.697
C -2.352 2.221 -1.299
C -2.626 3.462 -1.742
S -1.345 4.060 -2.727
C -3.254 1.374 -0.513
C -4.563 1.606 -0.266
S -5.230 0.295 0.635
C -3.687 -0.490 0.602
N -2.762 0.191 -0.008
N -3.458 -1.699 1.189
H 0.837 1.386 -3.353
H 1.050 3.021 -3.721
H -3.502 4.058 -1.545
H -5.177 2.434 -0.581
H -4.246 -2.287 1.396
H -2.619 -2.176 0.897
O -3.988 -1.203 -2.347
C -4.008 -0.404 -3.435
C -5.259 -0.002 -3.907
C -5.355 0.821 -5.009
C -4.210 1.267 -5.671
C -2.974 0.870 -5.212
C -2.847 0.037 -4.093
C -1.476 -0.282 -3.622
O -0.472 0.088 -4.201
O -1.425 -1.000 -2.496
H -3.051 -1.317 -2.104
H -6.139 -0.358 -3.387
H -6.334 1.122 -5.362
H -4.293 1.908 -6.539
H -2.066 1.189 -5.706
```

## Properties
└──

Hold steady

Tap into universal energy for grounding and love.
Stay in center and not buy into the drama.
Be the person who spreads love and shines the light on truth.
Be the change you want to see in others.
Let’s hold each other’s hands, and hold steady.

Take your time, feel what you feel, but don’t panic or get washed away in other people’s fears.

With love and strength, Charissa xxx